Veit's Blog

Carp Patterns II: Testing


In the second installment of my series on my personal view on current best practices in Carp, we’re going to talk about testing! This is one of my favorite topics, right after documentation.

The standard library of Carp comes with a testing framework that is good enough for the kind of unit tests that I write, although it is fairly spartan. Nonetheless, it will give you a good foundation on which to base your tests and make sure that the hardest part of your CI process is getting Carp installed on the CI server.

Baby’s first assertion

If you use the Carp project template on carpentry you already get a test file in test/tests.carp. It will contain one failing test:

(load "Test.carp")
(use Test)

(deftest test
  (assert-equal test
                "Implement me"
                "TODO: implement me"
Fig. 1: A simple failing test.

All flavors of assert from Test will take a state as the first argument, which will be created by the deftest macro. Then they take the things to compare or assert against—usually one, in the case of for instance assert-true, or two, in the case of comparisons—, and finally they take a message to display for the test. If we run the test script using carp -x test/tests.carp, we will get colorful output, telling us which tests pass and fail.

Often this is enough for my unit testing needs, especially in simple functional libraries. If I use assert-exit or assert-signal, I can even test exit codes and signal conditions with it.

Structuring your tests

I like putting all of my tests together, as a large battery. As the number of tests increases and their scope broadens this might get unwieldy. I have two go-to methods to rectify this.

If I want to split up my tests by module, I usually put the tests in different files. This ensures that I can easily trigger just the tests that target the module that I’m currently working on.

Inside these files, I can split up my test functions into multiple groups. I move from using deftest to with-test, like this:

; sorry for the long code example;
; i wanted to share how to split up a lot of code

(defn test-parsing []
    (println "## Parsing")
    (with-test test
      (assert-equal test
                    (scheme &(Uri.parse "scheme://domain.tld"))
                    "we can parse the domain"

(defn test-stringification []
    (println "## Stringification")
    (with-test test
      (assert-equal test
                    &(str &(Uri.parse "scheme://domain.tld"))
                    "we can stringify our representation again correctly"

(defn main []
  (Array.sum &[
Fig. 2: Testing a URI library.

Basically, you have a bunch of functions that run tests, and maybe the print out information about the test name in the beginning. But what is the Array.sum in main doing? I’ve found it to be a neat trick to set the exit status of failing test suites appropriately: since with-test returns the number of tests that have failed, summing the results of all of the test functions together will result in a non-zero exit code if at least one of the test cases failed, making sure CI notices.

Realistically, writing any of this by hand should not be necessary, but the Test module hasn’t been touched in a while, and noone has come up with a nicer API. I guess a macro that generates a bunch of the repetitive code in the test functions and another one that gathers all of the test functions by looking for the prefix test- could be enough for me personally, but I’ll leave this as an exercise for the reader.

A note on running your tests

Finally, I’ll leave you with a pattern that some in the community use to speed up their development workflow: they use file watchers to recompile and run the tests when a Carp file changes. If you have nodemon installed, for instance, you can use this spell to conjure up such a watcher process:

nodemon -e carp -x "carp -x --log-memory tests.carp || exit 1"

Fig. 3: Executing your tests every time a file changes.

There are many such file watchers around, so you can just use whichever you prefer.

An Unfinished Story

That’s all you need to get started writing tests for your Carp projects. The kinds of tests that you can write with any sort of framework are limited to unit tests, but integration tests and end-to-end tests are definitely possible with a little bit of elbow grease and possibly shell scripting.

(Crystal structures from another source follow)
┌──
Diffraction record for PaCrO4. The X-ray diffraction stick pattern is computed, not measured: it uses a GGA+U-relaxed structure and Cu Kα X-rays.

```
data_PaCrO4
_chemical_formula_sum 'Pa2 Cr2 O8'
_cell_length_a 5.2829
_cell_length_b 5.0827
_cell_length_c 5.8173
_cell_angle_alpha 90.00
_cell_angle_beta 90.00
_cell_angle_gamma 90.00
_symmetry_space_group_name_H-M 'P 1'
_symmetry_Int_Tables_number 1
loop_
_symmetry_equiv_pos_as_xyz
'x,y,z'
loop_
_atom_site_label
_atom_site_type_symbol
_atom_site_fract_x
_atom_site_fract_y
_atom_site_fract_z
_atom_site_occupancy
Pa1 Pa 0.0000 0.0000 0.0000 1
Pa2 Pa 0.0000 0.5000 0.5000 1
Cr1 Cr 0.5000 0.0000 0.3306 1
Cr2 Cr 0.5000 0.5000 0.8306 1
O1 O 0.1855 0.2050 0.2898 1
O2 O 0.1855 0.2950 0.7898 1
O3 O 0.3313 0.7366 0.5719 1
O4 O 0.3313 0.7634 0.0719 1
O5 O 0.6687 0.2366 0.0719 1
O6 O 0.6687 0.2634 0.5719 1
O7 O 0.8145 0.7050 0.7898 1
O8 O 0.8145 0.7950 0.2898 1
```

Peak list (6 most intense, 10° ≤ 2θ ≤ 90°, in order of rising 2θ)
2θ (°)	I/Imax
16.8	38
23.2	56
28.8	100
35.3	36
41.5	25
50.7	25

~~~~~

Record 1
Structure and calculated XRD peak list of Rb3ZrMn2O6 (a cell relaxed with PBE+U; Cu Kα X-rays).
Intensities are scaled so that the largest is 100.

Cell and atoms:
```
Rb3ZrMn2O6
1.0
2.966 -4.839 0.000
2.966 4.839 0.000
-2.194 0.000 6.439
Rb Zr Mn O
3 1 2 6
direct
0.000 0.000 0.000
0.332 0.668 0.000
0.668 0.332 0.000
0.500 0.500 0.500
0.170 0.830 0.500
0.830 0.170 0.500
0.131 0.465 0.321
0.222 0.222 0.654
0.465 0.131 0.321
0.535 0.869 0.679
0.778 0.778 0.346
0.869 0.535 0.679
```

Largest 12 diffraction maxima, sorted by position, 2θ from 10° to 90°:
2θ = 27.71°, I 63.9
2θ = 31.88°, I 37.5
2θ = 32.79°, I 65.6
2θ = 34.98°, I 61.9
2θ = 37.04°, I 100.0
2θ = 49.18°, I 36.3
2θ = 49.48°, I 16.2
2θ = 54.45°, I 32.7
2θ = 57.10°, I 14.1
2θ = 58.24°, I 20.3
2θ = 62.99°, I 13.9
2θ = 68.74°, I 14.8

Record 2
Structure and calculated XRD peak list of RbZr2Mn2O7 (a cell relaxed with PBE+U; Cu Kα X-rays).
Intensities are scaled so that the largest is 100.

Cell and atoms:
```
RbZr2Mn2O7
1.0
-2.119 2.139 8.980
2.119 -2.139 8.980
2.119 2.139 -8.980
Rb Zr Mn O
1 2 2 7
direct
0.000 0.000 0.000
0.386 0.386 0.000
0.614 0.614 0.000
0.250 0.750 0.500
0.750 0.250 0.500
0.130 0.630 0.500
0.261 0.261 0.000
0.368 0.868 0.500
0.500 0.500 0.000
0.632 0.132 0.500
0.739 0.739 0.000
0.870 0.370 0.500
```

Largest 12 diffraction maxima, sorted by position, 2θ from 10° to 90°:
2θ = 25.59°, I 60.4
2θ = 25.75°, I 59.1
2θ = 31.33°, I 100.0
2θ = 32.55°, I 50.5
2θ = 32.68°, I 50.6
2θ = 40.17°, I 59.3
2θ = 42.25°, I 58.3
2θ = 42.65°, I 65.5
2θ = 59.71°, I 32.7
2θ = 60.00°, I 66.3
2θ = 61.60°, I 33.9
2θ = 76.13°, I 29.7

Record 3
Structure and calculated XRD peak list of MnRe2O10 (a cell relaxed with PBE+U; Cu Kα X-rays).
Intensities are scaled so that the largest is 100.

Cell and atoms:
```
MnRe2O10
1.0
7.913 -2.858 0.000
7.913 2.858 0.000
-0.804 0.000 4.614
Mn Re O
1 2 10
direct
0.000 0.000 0.000
0.359 0.359 0.981
0.641 0.641 0.019
└──
(The article goes on)

In Carp proper, we have a few shell scripts that run Carp programs that are supposed to generate error messages, and compare the output to an expected file using diff. That’s simple, low maintenance, and does not require new contributors to install any software. If I had to do something like that for my other Carp projects, I would probably copy a page out of the compiler’s book.

Nonetheless, there are a lot of opportunities to make the testing story in Carp better, even with little effort. Try it!


This second installment of my series on patterns for Carp development again didn’t have much to do with actually writing code, but don’t fret! Next time we’re going to take a look at macros: how to write good, idiomatic, maintainable code that uses Carp’s powerful compile time system to the fullest!

Stay tuned!